**Source:**
/*
This entry pairs a crystal structure of TaGeAu with its theoretical powder diffraction line list. Radiation: a wavelength of 1.5418 Å. Structure: a DFT-relaxed cell (PBE, Alexandria).

Cell and atoms:
abc: 3.242 3.753 8.838
angles: 90.00 90.00 90.00
Sites, in units of the cell vectors:
1 Ta 0.250 0.250 0.099
2 Ta 0.750 0.750 0.901
3 Ge 0.250 0.250 0.788
4 Ge 0.750 0.750 0.212
5 Au 0.250 0.750 0.589
6 Au 0.750 0.250 0.411

The 6 most intense peaks (2θ = 10–90°), sorted by position:
two_theta  I (rel.)
34.30  59
38.06  100
38.86  78
48.51  23
60.76  23
70.95  27

---

This entry pairs a crystal structure of TaGeAu with its theoretical powder diffraction line list. Radiation: a wavelength of 1.5418 Å. Structure: a DFT-relaxed cell (PBE, Alexandria).

Cell and atoms:
abc: 2.878 2.878 6.775
angles: 90.00 90.00 100.98
Sites, in units of the cell vectors:
1 Ta 0.000 0.000 0.000
2 Ge 0.500 0.500 0.298
3 Au 0.500 0.500 0.680

The 6 most intense peaks (2θ = 10–90°), sorted by position:
two_theta  I (rel.)
13.07  43
34.39  100
39.92  33
40.64  35
41.63  95
58.28  22

---

This entry pairs a crystal structure of Tb7Ge5Au with its theoretical powder diffraction line list. Radiation: a wavelength of 1.5418 Å. Structure: a DFT-relaxed cell (PBE, Alexandria).

Cell and atoms:
abc: 7.930 7.930 7.930
angles: 135.59 93.64 102.83
Sites, in units of the cell vectors:
1 Tb 0.000 0.000 0.000
2 Tb 0.058 0.732 0.325
3 Tb 0.400 0.400 0.000
4 Tb 0.407 0.732 0.675
5 Tb 0.529 0.029 0.500
6 Tb 0.613 0.279 0.334
7 Tb 0.945 0.279 0.666
8 Ge 0.011 0.511 0.500
9 Ge 0.261 0.226 0.486
10 Ge 0.261 0.775 0.035
11 Ge 0.739 0.226 0.965
12 Ge 0.739 0.775 0.514
13 Au 0.700 0.700 0.000

The 6 most intense peaks (2θ = 10–90°), sorted by position:
two_theta  I (rel.)
28.83  77
29.81  50
30.96  52
34.16  100
38.86  64
59.71  31

---

This entry pairs a crystal structure of GeTe3Au2 with its theoretical powder diffraction line list. Radiation: a wavelength of 1.5418 Å. Structure: a DFT-relaxed cell (PBE, Alexandria).

Cell and atoms:
abc: 7.709 7.709 7.343
angles: 90.00 90.00 60.04
Sites, in units of the cell vectors:
1 Ge 0.165 0.835 0.500
2 Ge 0.835 0.165 0.000
3 Te 0.166 0.505 0.395
4 Te 0.169 0.831 0.877
5 Te 0.495 0.834 0.395
6 Te 0.505 0.166 0.895
7 Te 0.831 0.169 0.377
8 Te 0.834 0.495 0.895
9 Au 0.167 0.501 0.021
10 Au 0.499 0.833 0.021
11 Au 0.501 0.167 0.521
12 Au 0.833 0.499 0.521

The 6 most intense peaks (2θ = 10–90°), sorted by position:
two_theta  I (rel.)
23.07  100
24.24  57
26.11  73
40.53  92
43.81  95
47.79  55

---

This entry pairs a crystal structure of Ge2Te4Au with its theoretical powder diffraction line list. Radiation: a wavelength of 1.5418 Å. Structure: a DFT-relaxed cell (PBE, Alexandria).

Cell and atoms:
abc: 6.139 6.139 6.065
angles: 90.00 90.00 90.00
Sites, in units of the cell vectors:
1 Ge 0.000 0.500 0.000
2 Ge 0.500 0.000 0.000
3 Te 0.228 0.228 0.727
4 Te 0.228 0.772 0.273
5 Te 0.772 0.228 0.273
6 Te 0.772 0.772 0.727
7 Au 0.500 0.500 0.500

The 6 most intense peaks (2θ = 10–90°), sorted by position:
two_theta  I (rel.)
20.59  16
25.23  100
41.61  24
41.88  48
49.29  29
49.75  14

---

This entry pairs a crystal structure of Ge2Te6Au with its theoretical powder diffraction line list. Radiation: a wavelength of 1.5418 Å. Structure: a DFT-relaxed cell (PBE, Alexandria).

Cell and atoms:
abc: 9.114 9.114 7.511
angles: 102.96 102.96 76.61
Sites, in units of the cell vectors:
1 Ge 0.110 0.297 0.243
2 Ge 0.297 0.110 0.743
3 Ge 0.703 0.890 0.257
4 Ge 0.890 0.703 0.757
5 Te 0.035 0.206 0.517
6 Te 0.167 0.565 0.908
7 Te 0.206 0.035 0.017
8 Te 0.281 0.521 0.373
9 Te 0.435 0.833 0.592
10 Te 0.479 0.719 0.127
11 Te 0.521 0.281 0.873
12 Te 0.565 0.167 0.408
13 Te 0.719 0.479 0.627
14 Te 0.794 0.965 0.983
15 Te 0.833 0.435 0.092
16 Te 0.965 0.794 0.483
17 Au 0.428 0.572 0.750
18 Au 0.572 0.428 0.250

The 6 most intense peaks (2θ = 10–90°), sorted by position:
two_theta  I (rel.)
10.15  100
20.97  52
24.45  61
25.75  53
31.02  79
39.44  59

---
*/

**Job:**
Could you transcribe every line further above that contains the word "Cell"?

**Response:**
Cell and atoms:
Cell and atoms:
Cell and atoms:
Cell and atoms:
Cell and atoms:
Cell and atoms: